My First Family Conference: Breakdancing and Murphy’s Law

[These records of crystals were left in the article by mistake]
- - -
The following is a DFT calculation (PBE) of CeYFe4 after structural relaxation.

Cell and atoms, written as CIF:
```
data_CeYFe4
_chemical_formula_sum 'Ce4 Y4 Fe16'
_symmetry_space_group_name_H-M 'F -4 3 m'
_symmetry_Int_Tables_number 216
_symmetry_space_group_name_Hall 'F -4 2 3'
_cell_length_a 7.300
_cell_length_b 7.300
_cell_length_c 7.300
_cell_angle_alpha 90.00
_cell_angle_beta 90.00
_cell_angle_gamma 90.00
loop_
_atom_site_label
_atom_site_type_symbol
_atom_site_fract_x
_atom_site_fract_y
_atom_site_fract_z
Ce1 Ce 0.000 0.000 0.000
Y1 Y 0.250 0.250 0.250
Fe1 Fe 0.126 0.126 0.626
```

Summary:
Energy relative to the elements = -0.01 eV/atom
Calculated total energy = -185.330 eV for the cell shown


The following is a DFT calculation (PBE) of CeZn2Fe after structural relaxation.

Cell and atoms, written as CIF:
```
data_CeZn2Fe
_chemical_formula_sum 'Ce1 Zn2 Fe1'
_symmetry_space_group_name_H-M 'P 4/m m m'
_symmetry_Int_Tables_number 123
_symmetry_space_group_name_Hall '-P 4 2'
_cell_length_a 3.683
_cell_length_b 3.683
_cell_length_c 5.036
_cell_angle_alpha 90.00
_cell_angle_beta 90.00
_cell_angle_gamma 90.00
loop_
_atom_site_label
_atom_site_type_symbol
_atom_site_fract_x
_atom_site_fract_y
_atom_site_fract_z
Ce1 Ce 0.000 0.000 0.000
Zn1 Zn 0.000 0.500 0.500
Fe1 Fe 0.500 0.500 0.000
```

Summary:
Energy relative to the elements = 0.00 eV/atom
Total magnetic moment = 0.0 μB per cell
Calculated total energy = -16.909 eV for the cell shown


The following is a DFT calculation (PBE) of CeGa after structural relaxation.

Cell and atoms, written as CIF:
```
data_CeGa
_chemical_formula_sum 'Ce4 Ga4'
_symmetry_space_group_name_H-M 'C m c m'
_symmetry_Int_Tables_number 63
_symmetry_space_group_name_Hall '-C 2c 2'
_cell_length_a 4.420
_cell_length_b 11.133
_cell_length_c 4.135
_cell_angle_alpha 90.00
_cell_angle_beta 90.00
_cell_angle_gamma 90.00
loop_
_atom_site_label
_atom_site_type_symbol
_atom_site_fract_x
_atom_site_fract_y
_atom_site_fract_z
Ce1 Ce 0.000 0.142 0.250
Ga1 Ga 0.000 0.428 0.250
```

Summary:
Energy relative to the elements = -0.47 eV/atom
Calculated total energy = -39.629 eV for the cell shown


The following is a DFT calculation (PBE) of CeGa3 after structural relaxation.

Cell and atoms, written as CIF:
```
data_CeGa3
_chemical_formula_sum 'Ce2 Ga6'
_symmetry_space_group_name_H-M 'P 63/m m c'
_symmetry_Int_Tables_number 194
_symmetry_space_group_name_Hall '-P 6c 2c'
_cell_length_a 6.4046
_cell_length_b 6.4046
_cell_length_c 4.5711
_cell_angle_alpha 90.00
_cell_angle_beta 90.00
_cell_angle_gamma 120.00
loop_
_atom_site_label
_atom_site_type_symbol
_atom_site_fract_x
_atom_site_fract_y
_atom_site_fract_z
Ce1 Ce 0.3333 0.6667 0.2500
Ga1 Ga 0.1455 0.2909 0.7500
```

Summary:
Energy relative to the elements = -0.55 eV/atom
Calculated total energy = -34.468 eV for the cell shown


The following is a DFT calculation (PBE) of CeGaGe after structural relaxation.

Cell and atoms, written as CIF:
```
data_CeGaGe
- - -
[The records of crystals stop here]

As CHI’s Communications Associate, one of my primary roles is to elevate the patient voice in our hyperinsulinism advocacy work. Working digitally, though, can take me out of the real-life challenges that come along with HI management – I don’t see first-hand the daily inconveniences and anxieties around food, development, and mobility. At our most recent Family Conference with Cook Children’s in Fort Worth, Texas – my first Family Conference! – one mom’s presentation of her HI-story put this into perspective. She shared that her son’s G-tube (gastronomy tube) had stopped working while moving into their new house – she described it as being like Murphy’s Law, adding that “whatever can go wrong with HI management will go wrong, and at the most inconvenient times.” And while thankfully nothing quite that extreme happened during my time at Cook Children’s fabulous Child Life Zone (CLZ), my Saturday with 30+ HI kids proved her theory to be correct.

[Data records, as found in the file]
____________
RbFeF4 (r²SCAN, relaxed); magnetic moment = 5.00 μB/f.u.; space-group type = Pbcm; ΔH_f (0 K) = -2.7797 eV per atom
1.0
6.164 0.000 0.000
0.000 7.649 0.000
0.000 0.000 7.704
F Fe Rb
16 4 4
Direct
0.096 0.250 0.500
0.713 0.440 0.549
0.924 0.484 0.250
0.904 0.750 0.000
0.713 0.060 0.451
0.713 0.440 0.951
0.287 0.940 0.549
0.924 0.016 0.750
0.096 0.250 0.000
0.287 0.560 0.049
0.287 0.560 0.451
0.287 0.940 0.951
0.076 0.984 0.250
0.904 0.750 0.500
0.713 0.060 0.049
0.076 0.516 0.750
0.000 0.500 0.500
0.000 0.000 0.000
0.000 0.000 0.500
0.000 0.500 0.000
0.483 0.204 0.750
0.517 0.796 0.250
0.483 0.296 0.250
0.517 0.704 0.750



TiAu2 (r²SCAN, relaxed); magnetic moment = 0.51 μB/f.u.; space-group type = I4/mmm; ΔH_f (0 K) = -0.4833 eV per atom
1.0
3.437 0.000 0.000
0.000 3.437 0.000
-1.719 -1.719 4.289
Ti Au
1 2
Direct
0.000 0.000 0.000
0.664 0.664 0.329
0.336 0.336 0.671



CeTh3O8 (r²SCAN, relaxed); magnetic moment = 0.00 μB/f.u.; space-group type = Cmmm; ΔH_f (0 K) = -4.1060 eV per atom
1.0
-3.272 -1.550 1.541
3.180 -0.775 5.974
-0.872 5.598 3.781
O Th Ce
8 3 1
Direct
0.500 0.125 0.125
0.000 0.129 0.623
0.000 0.871 0.377
0.000 0.623 0.129
0.500 0.378 0.378
0.000 0.377 0.871
0.500 0.875 0.875
0.500 0.622 0.622
0.500 0.000 0.500
0.000 0.000 0.000
0.500 0.500 0.000
0.000 0.500 0.500



Pr3Si2 (r²SCAN, relaxed); magnetic moment = 0.90 μB/f.u.; space-group type = P4/mbm; ΔH_f (0 K) = -0.6783 eV per atom
1.0
0.000 0.000 4.411
7.850 0.000 0.000
0.000 7.850 0.000
Pr Si
6 4
Direct
0.500 0.177 0.677
0.500 0.823 0.323
0.500 0.677 0.823
0.000 0.000 0.000
0.000 0.500 0.500
0.500 0.323 0.177
0.000 0.610 0.110
0.000 0.110 0.390
0.000 0.890 0.610
0.000 0.390 0.890



LiSmHg2 (r²SCAN, relaxed); magnetic moment = 0.00 μB/f.u.; space-group type = Fm-3m; ΔH_f (0 K) = -0.5175 eV per atom
1.0
0.000 3.579 3.579
3.579 0.000 3.579
3.579 3.579 0.000
Sm Hg Li
1 2 1
Direct
0.750 0.750 0.750
0.500 0.500 0.500
0.000 0.000 0.000
0.250 0.250 0.250



Ce3Ni2Sn7 (r²SCAN, relaxed); magnetic moment = 2.19 μB/f.u.; space-group type = Cmmm; ΔH_f (0 K) = -0.5847 eV per atom
1.0
-10.761 3.164 8.138
7.768 -1.801 -11.334
-1.552 -4.301 -0.380
Ce Sn Ni
3 7 2
Direct
0.185 0.815 0.000
0.500 0.500 0.500
0.815 0.185 0.000
0.000 0.000 0.000
0.412 0.588 0.000
0.588 0.412 0.000
0.282 0.718 0.500
0.718 0.282 0.500
0.912 0.088 0.500
0.088 0.912 0.500
0.627 0.373 0.500
0.373 0.627 0.500



ErPb3 (r²SCAN, relaxed); magnetic moment = 0.00 μB/f.u.; space-group type = Pm-3m; ΔH_f (0 K) = -0.3047 eV per atom
1.0
-0.273 -4.014 2.685
1.150 -2.666 -3.869
4.691 0.420 1.105
Pb Er
3 1
Direct
0.500 0.000 0.500
0.500 0.500 0.000
0.000 0.500 0.500
0.000 0.000 0.000



Gd4Ga12Pd (r²SCAN, relaxed); magnetic moment = 14.14 μB/f.u.; space-group type = Im-3m; ΔH_f (0 K) = -0.6313 eV per atom
1.0
5.273 -5.224 -0.816
-5.958 -2.980 3.362
-1.976 2.610 -6.706
Ga Gd Pd
12 4 1
Direct
0.000 0.703 0.703
0.500 0.750 0.250
0.703 0.000 0.703
0.297 0.297 0.000
0.250 0.500 0.750
0.750 0.500 0.250
0.250 0.750 0.500
0.750 0.250 0.500
____________

The CLZ gave us access to a recording studio, a drum circle, air hockey, and a seemingly unlimited supply of crafts and activities to help facilitate meaningful relationships with one another. But it was the recording studio that really captured awe in all of the kids. The kids were thrilled to learn that we would be professionally recording them singing along to Janna Pelle’s “Down and Up” and even making a music video. Cheers came from the room, shouting “I’m going to be famous!,” “We’ll be on YouTube!” Janna, myself, and other volunteer babysitters from Cook Children’s staff helped teach the group the lyrics and hand motions to rehearse for the real deal; soon enough, they could do it all on their own, and we were ready for action. Forming a semi-circle around several microphones hanging from the ceiling, our eager stars began to sing along to Janna’s song, when suddenly a “briiiing, briiiiing” chimed from one child’s cellphone. Soon after restarting our performance, there came another, and another, leading one volunteer to ask, “can they silence their phones?” The alerts came, of course, from their Continuous Glucose Monitors (CGMs), leading several kids to leave the recording area and manage their sugar lows or spikes with the upmost responsibility that a seven-year-old should never need to have.

CLZ at Cook Children's

As the HI mom had lovingly put it earlier, our experiences with Murphy’s Law didn’t end there. The music video component of the day required a dance scene in the CLZ’s expansive, brightly colored game room. Some kids chose to jump around with their newfound friends, others danced holding hands with our fantastic volunteer babysitters. Soon, a breakdancing circle began to form – hardly fitting for our guitar sing-along song, but somehow perfect for the chaotic fun of the day. As more and more kids wanted to give their shot at breakdancing, one boy came up to me shyly and said, “I want to breakdance, but I have my backpack on. My G-tube’s there.” His G-tube, or gastronomy tube, is a tool that delivers continuous supplemental feeding or medicine. For HI kids, G-tubes often supply dextrose (sugar water). This boy’s backpack is a popular choice to conveniently bring his G-tube along with him. However, “convenience” can only go so far; like so many kids his age, he wanted to jump around and, of course, try breakdancing, which would have risked pulling his G-tube out. Sadly, his backpack did not afford him the same freedom of movement as the others had. He and I danced in our own little corner, until his friends eventually found new dance moves that he could join in on.

What comes next are materials data, not part of the entry =
____________
Record 1
! Sr3CaAg4 GGA-PBE optimized geometry; values from VASP
&SYSTEM
  ibrav = 0, nat = 24, ntyp = 3
/
ATOMIC_SPECIES
Sr 87.62 Sr.upf
Ca 40.08 Ca.upf
Ag 107.87 Ag.upf
CELL_PARAMETERS angstrom
6.296 0.000 0.000
0.000 4.917 0.000
-0.002 0.000 24.122
ATOMIC_POSITIONS crystal
Sr 0.000 0.000 0.000
Sr 0.001 0.000 0.662
Sr 0.235 0.000 0.498
Sr 0.263 0.500 0.879
Sr 0.472 0.000 0.330
Sr 0.496 0.500 0.710
Sr 0.734 0.500 0.209
Sr 0.762 0.000 0.831
Sr 0.972 0.500 0.378
Ca 0.226 0.000 0.163
Ca 0.508 0.500 0.046
Ca 0.725 0.500 0.544
Ag 0.001 0.500 0.094
Ag 0.006 0.500 0.759
Ag 0.227 0.500 0.256
Ag 0.242 0.500 0.590
Ag 0.254 0.000 0.783
Ag 0.485 0.500 0.428
Ag 0.501 0.000 0.613
Ag 0.507 0.000 0.953
Ag 0.728 0.000 0.453
Ag 0.733 0.000 0.115
Ag 0.750 0.500 0.928
Ag 0.984 0.000 0.280
! space group	Pm

Record 2
! CaZnAg GGA-PBE optimized geometry; values from VASP
&SYSTEM
  ibrav = 0, nat = 12, ntyp = 3
/
ATOMIC_SPECIES
Ca 40.08 Ca.upf
Zn 65.41 Zn.upf
Ag 107.87 Ag.upf
CELL_PARAMETERS angstrom
10.709 0.000 0.000
0.000 4.660 0.000
-4.947 0.000 5.442
ATOMIC_POSITIONS crystal
Ca 0.048 0.000 0.300
Ca 0.452 0.500 0.700
Ca 0.548 0.500 0.300
Ca 0.952 0.000 0.700
Zn 0.159 0.500 0.105
Zn 0.341 0.000 0.895
Zn 0.659 0.000 0.105
Zn 0.841 0.500 0.895
Ag 0.170 0.500 0.731
Ag 0.330 0.000 0.269
Ag 0.670 0.000 0.731
Ag 0.830 0.500 0.269
! space group	C2/m

Number 1: ΔH_f (0 K) -2.49 eV/f.u.. Number 2: ΔH_f (0 K) -0.95 eV/f.u..
____________

group of kids dancing at CHI Family Conference

Truthfully, this moment broke my heart; not being familiar with the everyday struggles of HI management, it struck me just how much HI can interfere with what I know as a “typical,” carefree childhood. HI symptoms and management challenges pay no mind to occur at “convenient” times – hyperinsulinism shows itself on its own schedule. Even though these incidents – of not being able to breakdance, or sugar highs interrupting a performance – may seem inconsequential, they are simultaneously so meaningful. Acceptance and inclusion are essential to create uplifting friendships. And being with this many HI kids, all of whom have had to make countless accommodations within their young lives, it was beautiful to see a room full of people just “get it” and know exactly how to respond. They didn’t think twice before going right back into carefree play-mode. Witnessing these thoughtful accommodations the kids made for each other – like stepping away with a friend to drink some water, or trying out new, inclusive dance moves – really emphasized how important HI Family Conferences are. Even though Murphy’s Law tells us that what can go wrong will go wrong, when we are equipped with the right management tools, treatments, and a robust support system of friends who understand us, those “wrongs” can be managed, and children with HI can thrive.
